Wednesday, November 5, 2008

Someone voted in my poll!

Thank youto the one person who voted in my poll. (It was probably my mother) I am howevr, pisd that u dont think i will make a good president!
Today at academy (ive removed the names for privacy. The number of *s will show u who the same people r):

* liked ** , but now * likes ***
and *** likes **** and ** likes ***** and ****** likes ******* and i told ***** that * liked ** but now likes *** and i think * knows that i told ***** about * liking ***. o ya and ******** is going to ny!

it makes sanse. here mayb this will make it more clear:

1 liked 2 but now she likes 3
3 likes 4 and 2 likes 5. i told 6 and 2 that 1 liked 2, but now 1 likes 3 and i think 6 or 2 told 1, cuz somehow, 1 knows that i told 6 and 2. 8 is going to ny!

whatevr. mayb if u really want to know u can ask me in person but im not gonna write it online cuz... well whtevr.

in my first hebrew school class there are only 8th graders:
me sarah
hannah r

those were just the people who were there today. our teacher played us "the stickr song" and then she left and her husband just talked to us about israel. Then it was break and tanner had some secret to tell hannah that celine wanted to know and parker was dating some1, then hannah and lacey called jeff and jared tried to jump really high to reach this bar. justin was really depressed and then got more dpressed when jared reached the bar but justin cudnt. I didnt even bother trying to jump ten feet.

finally break was ovr and i went to my jewish music class which is cool, but my teacher hates me. we talked about stuff and then watched a video that happened to be the music video for the song we heard in my first class. these r the people who were in my second class today:

**Unrelated to this entry: materials data**
Entry 1:
Diffraction record for NbTl3Se3S. The PXRD pattern is computed, not measured: it uses a GGA-PBE-relaxed structure and Cu Ka.

Cell lengths 11.2908, 11.2908, 6.8713 Å; angles 90.00, 90.00, 120.00 degrees
Space group R3m (No. 160, hexagonal axes)
Symmetry-distinct sites (fractional):
Nb  0.0000  0.0000  0.0000 [3 per cell]
Tl  0.1690  0.3380  0.3280 [9 per cell]
Se  0.2161  0.4322  0.7840 [9 per cell]
S  0.0000  0.0000  0.6693 [3 per cell]

The 10 most intense peaks (15° ≤ 2θ ≤ 90°), in order of rising 2θ:
| Position (°2θ) | I/Imax | index |
| --- | --- | --- |
| 22.3 | 1000 | 0 2 1 |
| 27.4 | 339 | 3 0 0 |
| 31.7 | 855 | 2 2 0 |
| 31.8 | 975 | 2 0 2 |
| 35.6 | 232 | 1 2 2 |
| 39.1 | 382 | 4 0 1 |
| 45.5 | 207 | 0 4 2 |
| 51.2 | 472 | 2 4 1 |
| 51.4 | 381 | 2 2 3 |
| 56.5 | 383 | 4 2 2 |

***

Entry 2:
Diffraction record for CsGa9Au5. The PXRD pattern is computed, not measured: it uses a GGA-PBE-relaxed structure and Cu Ka.

Cell lengths 7.7555, 7.7555, 12.4393 Å; angles 90.00, 90.00, 120.00 degrees
Space group P6_3/mmc (No. 194)
Symmetry-distinct sites (fractional):
Cs  0.0000  0.0000  0.0000 [2 per cell]
Ga  0.0772  0.5386  0.0966 [12 per cell]
Ga  0.1952  0.3904  0.7500 [6 per cell]
Au  0.1899  0.3798  0.2500 [6 per cell]
Au  0.3333  0.6667  0.5843 [4 per cell]

The 10 most intense peaks (15° ≤ 2θ ≤ 90°), in order of rising 2θ:
| Position (°2θ) | I/Imax | index |
| --- | --- | --- |
| 25.2 | 476 | 1 0 3 |
| 27.1 | 882 | 1 1 2 |
| 27.5 | 701 | 2 0 1 |
| 30.2 | 717 | 2 0 2 |
| 38.3 | 421 | 2 1 2 |
| 41.7 | 775 | 2 1 3 |
| 42.9 | 329 | 3 0 2 |
| 43.7 | 341 | 0 0 6 |
| 46.1 | 1000 | 2 1 4 |
| 46.9 | 653 | 2 2 0 |

***

Entry 3:
Diffraction record for CsZr5. The PXRD pattern is computed, not measured: it uses a GGA-PBE-relaxed structure and Cu Ka.

Cell lengths 5.7312, 5.7312, 5.4261 Å; angles 90.00, 90.00, 120.00 degrees
Space group P-62m (No. 189)
Symmetry-distinct sites (fractional):
Cs  0.0000  0.0000  0.0000 [1 per cell]
Zr  0.0000  0.3720  0.5000 [3 per cell]
Zr  0.3333  0.6667  0.0000 [2 per cell]

The 10 most intense peaks (15° ≤ 2θ ≤ 90°), in order of rising 2θ:
| Position (°2θ) | I/Imax | index |
| --- | --- | --- |
| 24.3 | 55 | 1 0 1 |
| 31.2 | 238 | 1 1 0 |
| 33.0 | 284 | 0 0 2 |
| 35.4 | 1000 | 1 1 1 |
| 46.1 | 158 | 1 1 2 |
| 55.5 | 158 | 3 0 0 |
| 60.5 | 204 | 1 1 3 |
| 66.2 | 184 | 3 0 2 |
| 67.6 | 120 | 2 2 1 |
| 86.7 | 62 | 2 2 3 |

***

Entry 4:
Diffraction record for Ac3Ta2N6. The PXRD pattern is computed, not measured: it uses a GGA-PBE-relaxed structure and Cu Ka.

Cell lengths 4.1201, 4.1201, 20.9196 Å; angles 90.00, 90.00, 90.00 degrees
Space group I4/mmm (No. 139)
Symmetry-distinct sites (fractional):
Ac  0.0000  0.0000  0.0000 [2 per cell]
Ac  0.0000  0.0000  0.1807 [4 per cell]
Ta  0.0000  0.0000  0.3993 [4 per cell]
N  0.0000  0.0000  0.3054 [4 per cell]
N  0.0000  0.5000  0.0866 [8 per cell]

The 10 most intense peaks (15° ≤ 2θ ≤ 90°), in order of rising 2θ:
| Position (°2θ) | I/Imax | index |

me sarah

our teacher is eli and he dusnt like any1 but ellen hannah and lacey. ok, so almost evry1 but me. the video is on my faceboook page (Sarah Chase) or u can c it on youtube if you search hadag nahash. its in a different language so watch the 1 with subtitles. the song is a compilation of bumper stickers and is called the sticker song. we had to go thru and identify all the different peepl in the video and the ones i remember were pimp, prostitute, slim shady, and guy dressed as a poor religious mother with a baby. o ya, there was also a terrorist and a soldier. qnyway, its like an israeli video. its cool.

there is this one character who has a long dark beard and a black coat, but apparently they drive around in vans with their heads out the sunroofs and music players on their shoulders, gathering peepl to come to some park where they do hippi and zen stuff and ya know, praise god and such.

then hannah was chosen to bring a song 4 next week that she thinks is jewish or israeli. she told eli she wud forget and he was like "whats ur phone #? whats ur email adress?"
she like whispered her email adress to him and he loudly sed" dus blonde hav an e at the end?" we all lafed and it was reely funny.

i found pics from second grade and im gonna go look at them now. i hope they r cute. im so jealous of my sisters bcuz they got to live with the wonderful ball of jaoy and happiness that s me. i found a video where tracy recorded me lifteing my head and wrote these exact words on a sign that she held up next to my face:
"sarah chase 11 days old
book says that babies ussually lift their head after 2 weeks"

-- Crystal structures, as found in the file --
<<<
1.
For ThMnGe2, a cell relaxed with PBE gives the theoretical powder X-ray diffraction pattern in this record (Cu Ka).
Intensities are scaled so that the largest is 100.

Cell lengths 8.9414, 8.9414, 4.1946 Å; angles 90.00, 90.00, 152.24 degrees
Fractional positions:
Th: 0.1452 0.8548 0.0000
Th: 0.8548 0.1452 0.0000
Mn: 0.4281 0.5719 0.5000
Mn: 0.5719 0.4281 0.5000
Ge: 0.0000 0.0000 0.5000
Ge: 0.2914 0.7086 0.5000
Ge: 0.5000 0.5000 0.0000
Ge: 0.7086 0.2914 0.5000

Most intense lines, 2θ from 15° to 90°, in order of rising 2θ:
2θ (°), I/Imax
25.85, 25
29.62, 32
30.24, 22
33.66, 100
37.77, 15
42.10, 56
43.13, 23
52.34, 14
61.86, 36
67.00, 10
71.60, 11
73.03, 11

2.
For ThMn3Ge3, a cell relaxed with PBE gives the theoretical powder X-ray diffraction pattern in this record (Cu Ka).
Intensities are scaled so that the largest is 100.

Cell lengths 6.6160, 6.6160, 6.6160 Å; angles 90.00, 90.00, 90.00 degrees
Fractional positions:
Th: 0.0000 0.0000 0.0000
Th: 0.5000 0.5000 0.5000
Mn: 0.0000 0.2500 0.5000
Mn: 0.0000 0.7500 0.5000
Mn: 0.2500 0.5000 0.0000
Mn: 0.5000 0.0000 0.2500
Mn: 0.5000 0.0000 0.7500
Mn: 0.7500 0.5000 0.0000
Ge: 0.0000 0.5000 0.2500
Ge: 0.0000 0.5000 0.7500
Ge: 0.2500 0.0000 0.5000
Ge: 0.5000 0.2500 0.0000
Ge: 0.5000 0.7500 0.0000
Ge: 0.7500 0.0000 0.5000

Most intense lines, 2θ from 15° to 90°, in order of rising 2θ:
2θ (°), I/Imax
18.97, 12
26.95, 43
33.17, 100
43.24, 3
51.70, 57
55.56, 17
62.81, 16
66.26, 13
72.91, 3
79.32, 16
82.47, 11
88.72, 8

3.
For TiMnGe, a cell relaxed with PBE gives the theoretical powder X-ray diffraction pattern in this record (Cu Ka).
Intensities are scaled so that the largest is 100.

Cell lengths 7.3458, 7.3458, 7.3458 Å; angles 120.68, 82.49, 128.35 degrees
Fractional positions:
Ti: 0.0013 0.2500 0.2513
Ti: 0.4153 0.8619 0.0534
Ti: 0.4254 0.4054 0.5200
Ti: 0.8085 0.3619 0.9466
Ti: 0.8854 0.9054 0.4800
Ti: 0.9987 0.7500 0.7487
Mn: 0.1787 0.3408 0.9209
Mn: 0.1787 0.7578 0.3379
Mn: 0.4199 0.2578 0.0791
Mn: 0.4199 0.8408 0.6621
Mn: 0.6558 0.1558 0.5000
Mn: 0.6558 0.6558 0.0000
Ge: 0.0870 0.4264 0.6728
Ge: 0.0870 0.9142 0.1606
Ge: 0.3694 0.1582 0.7112
Ge: 0.4470 0.6582 0.2888
Ge: 0.7536 0.4142 0.3272
Ge: 0.7536 0.9264 0.8394

Most intense lines, 2θ from 15° to 90°, in order of rising 2θ:
2θ (°), I/Imax
27.92, 22
29.40, 9
37.48, 66
40.99, 100
43.18, 23
43.30, 30
49.37, 18
50.22, 42
50.37, 22
68.35, 10
73.06, 9
79.91, 12

4.
For TiMnGe2, a cell relaxed with PBE gives the theoretical powder X-ray diffraction pattern in this record (Cu Ka).
Intensities are scaled so that the largest is 100.

Cell lengths 8.9326, 9.8696, 7.9343 Å; angles 90.00, 90.00, 90.00 degrees
Fractional positions:
Ti: 0.1638 0.1796 0.0000
Ti: 0.1699 0.4528 0.2391
Ti: 0.1699 0.4528 0.7609
Ti: 0.3301 0.9528 0.2391
Ti: 0.3301 0.9528 0.7609
Ti: 0.3362 0.6796 0.0000
Ti: 0.6638 0.3204 0.0000
Ti: 0.6699 0.0472 0.2391
Ti: 0.6699 0.0472 0.7609
Ti: 0.8301 0.5472 0.2391
Ti: 0.8301 0.5472 0.7609
Ti: 0.8362 0.8204 0.0000
Mn: 0.0000 0.0000 0.2438
>>>

i didnt get to appreciate they wonders of me as a baby cuz i was a baby and i didnt under stand

goodbye internet!


Tracy Chase said...

OH the wonders of sarah as a baby! i did certainly get to experience that didn't I! it's to bad you were just a wittle baby when you were a baby because you'll never know how cool of a baby you were. baby

Sarah said...

i saw the videos of me and i was sooooooo adorable! im so bummed i mist out!

Sarah said...

(These materials data were left in the entry by mistake)
~~~
For AcHo2O4, a crystal structure in OQMD, relaxed with GGA-PBE gives the theoretical PXRD pattern in this record (λ = 1.5418 Å (Cu Kα)).

Lattice parameters (Å, degrees): 6.958 6.958 6.958 60.00 60.00 60.00
Positions (direct):
1 Ac 0.125 0.125 0.125
2 Ac 0.875 0.875 0.875
3 Ho 0.000 0.500 0.500
4 Ho 0.500 0.000 0.500
5 Ho 0.500 0.500 0.000
6 Ho 0.500 0.500 0.500
7 O 0.267 0.267 0.267
8 O 0.267 0.267 0.698
9 O 0.267 0.698 0.267
10 O 0.302 0.733 0.733
11 O 0.698 0.267 0.267
12 O 0.733 0.302 0.733
13 O 0.733 0.733 0.302
14 O 0.733 0.733 0.733

Largest 6 diffraction maxima, low angle first, 2θ = 15–90°:
two_theta	intensity
25.6	37.8
30.1	100.0
31.5	20.5
48.0	40.7
52.6	38.0
74.0	23.2
~~~

ur the baby! MY MOM WANTS U TO GIVE A SPEECH at my bat mitzvah. if u do end up giving 1, dont say anything bad about me, pleez.